-- begin --
76
Properties=species:S:1:pos:R:3:forces:R:3 method="wB97M-V/def2-TZVPD" orbital_gap_ev=9.8 total_charge=+1 multiplicity=1 lumo_energy_ev=-1.759
Pb 2.332 0.180 1.490 0.170 0.082 -0.236
K -1.177 -0.032 -1.802 -0.059 -0.045 -0.275
B 2.796 1.054 -0.926 0.200 0.584 -0.401
H 3.325 0.180 -0.579 1.666 -3.654 1.516
H 3.454 1.877 -0.694 2.610 3.196 0.842
H 2.682 0.957 -1.994 -0.807 -0.449 -3.832
H 1.890 1.286 -0.388 -3.954 0.780 1.655
B 0.295 -1.065 0.468 -0.083 -0.224 -0.136
H 1.081 -1.142 -0.268 2.798 0.024 -2.882
H -0.118 -0.086 0.658 -1.291 4.301 0.246
H -0.567 -1.644 0.176 -2.976 -2.623 -0.856
H 0.647 -1.349 1.447 1.133 -1.873 3.817
C -6.268 2.417 -3.710 0.788 0.734 0.850
O -5.399 2.330 -2.513 -3.188 -0.320 -0.810
C -4.083 2.661 -2.740 1.098 -0.568 1.202
C -3.433 2.822 -1.312 -0.502 -0.852 -1.334
O -3.159 1.564 -0.689 0.354 0.006 -1.410
C -3.394 1.578 0.695 -0.180 -0.337 -0.495
H -5.802 1.972 -4.589 0.243 -0.002 0.045
H -6.480 3.473 -3.879 0.340 0.163 -0.289
H -7.266 1.991 -3.609 0.392 -0.512 0.809
H -3.960 3.594 -3.289 0.070 0.143 -0.150
H -3.693 1.802 -3.286 0.975 0.190 -0.314
H -4.236 3.308 -0.758 0.396 0.509 0.268
H -2.465 3.321 -1.350 -0.301 0.716 -0.044
H -4.478 1.661 0.783 -0.035 -0.151 0.809
H -2.891 2.414 1.182 0.054 0.026 0.163
H -2.980 0.621 1.013 -0.332 0.120 0.618
C 5.777 1.233 2.715 -1.557 -0.556 -1.302
O 4.966 0.165 2.088 2.002 -0.548 0.085
C 5.761 -0.884 1.487 -1.984 -0.020 -1.053
C 4.870 -1.594 0.442 0.293 -0.783 0.734
O 3.590 -2.016 1.054 1.584 1.987 -0.762
C 3.255 -3.283 0.590 -0.740 -0.970 -0.056
H 6.849 1.043 2.768 -0.219 -0.523 0.327
H 5.255 1.362 3.663 0.648 0.595 0.058
H 5.646 2.040 1.993 0.051 0.562 0.598
H 6.058 -1.641 2.212 0.117 0.246 0.296
H 6.619 -0.509 0.927 0.146 0.256 0.241
H 5.440 -2.473 0.141 -0.084 -0.441 0.296
H 4.704 -1.111 -0.521 -0.233 0.632 0.457
H 3.295 -3.381 -0.495 0.534 0.084 -0.125
H 2.208 -3.504 0.797 0.055 0.093 0.527
H 3.937 -3.946 1.123 -0.240 -0.664 -0.411
C 1.461 -2.335 3.901 0.392 -2.658 0.460
O 2.439 -1.364 3.715 0.444 1.824 0.580
C 2.789 -0.464 4.798 -0.244 -0.422 0.038
C 1.795 0.650 5.087 -0.680 -0.528 1.615
O 1.331 1.357 3.988 -0.052 0.936 -1.285
C 0.520 2.513 4.244 -0.260 -0.024 1.064
H 0.398 -2.143 4.053 0.129 1.008 -0.340
H 1.731 -3.045 4.683 0.219 0.415 0.941
H 1.612 -3.052 3.094 -0.528 0.496 -0.672
H 3.812 -0.111 4.669 -0.142 0.175 -0.948
H 2.913 -1.003 5.738 -0.442 -0.410 0.124
H 2.188 1.252 5.906 0.816 0.725 -0.335
H 0.966 0.244 5.667 -0.694 -0.585 -0.428
H 1.024 3.244 4.876 0.461 -0.011 -0.082
H -0.384 2.271 4.803 -0.107 -0.518 0.087
H 0.154 3.039 3.363 0.606 -0.550 -0.444
C -1.820 0.205 -5.874 0.767 -0.582 -1.215
O -2.474 -0.192 -4.735 -1.267 -0.493 1.568
C -3.510 -1.161 -4.958 0.678 0.621 0.919
C -3.981 -1.569 -3.584 -0.703 -0.459 1.152
O -2.933 -2.223 -2.854 0.824 -0.146 -0.673
C -3.221 -2.571 -1.518 -1.660 0.513 0.179
H -1.817 1.290 -5.981 0.272 -0.033 0.062
H -2.276 -0.241 -6.758 -0.181 0.231 -0.249
H -0.839 -0.267 -5.816 0.527 0.635 -0.353
H -3.135 -2.032 -5.495 0.188 -0.065 -0.052
H -4.269 -0.668 -5.566 -0.450 -0.254 0.153
H -4.882 -2.182 -3.615 0.088 -0.689 -0.468
H -4.371 -0.760 -2.966 0.389 0.848 -0.132
H -4.099 -3.212 -1.432 0.021 -0.563 -0.321
H -3.592 -1.687 -1.001 0.325 0.480 0.415
H -2.411 -3.028 -0.950 0.316 0.174 -0.644

=====

78
Properties=species:S:1:pos:R:3:forces:R:3 method="wB97M-V/def2-TZVPD" de_lowest_kj_mol=0.0 orbital_gap_ev=8.2 total_charge=0 multiplicity=1 lumo_energy_ev=-0.988
K -9.654 -5.854 4.011 0.500 -0.021 -0.498
B -7.254 -4.711 1.658 -0.490 -0.293 0.311
F -6.460 -3.650 2.163 -0.130 -0.280 -0.175
F -8.606 -4.304 1.583 0.159 0.015 0.104
F -6.802 -5.166 0.439 0.118 0.056 0.190
F -7.238 -5.777 2.630 0.092 0.156 -0.062
C -9.379 -1.431 2.324 -0.299 0.213 0.255
C -8.207 -0.565 1.931 0.136 -0.069 -0.332
O -7.299 -1.238 1.056 -0.123 0.150 0.169
H -10.060 -0.844 2.950 0.101 -0.110 0.092
H -9.010 -2.285 2.885 -0.126 -0.110 0.145
H -9.961 -1.790 1.476 0.185 -0.001 -0.158
H -7.688 -0.219 2.834 0.036 -0.026 -0.073
-- stop --
Echo the listing further up from the line with "3.325 0.180" to the end without additions.
H 3.325 0.180 -0.579 1.666 -3.654 1.516
H 3.454 1.877 -0.694 2.610 3.196 0.842
H 2.682 0.957 -1.994 -0.807 -0.449 -3.832
H 1.890 1.286 -0.388 -3.954 0.780 1.655
B 0.295 -1.065 0.468 -0.083 -0.224 -0.136
H 1.081 -1.142 -0.268 2.798 0.024 -2.882
H -0.118 -0.086 0.658 -1.291 4.301 0.246
H -0.567 -1.644 0.176 -2.976 -2.623 -0.856
H 0.647 -1.349 1.447 1.133 -1.873 3.817
C -6.268 2.417 -3.710 0.788 0.734 0.850
O -5.399 2.330 -2.513 -3.188 -0.320 -0.810
C -4.083 2.661 -2.740 1.098 -0.568 1.202
C -3.433 2.822 -1.312 -0.502 -0.852 -1.334
O -3.159 1.564 -0.689 0.354 0.006 -1.410
C -3.394 1.578 0.695 -0.180 -0.337 -0.495
H -5.802 1.972 -4.589 0.243 -0.002 0.045
H -6.480 3.473 -3.879 0.340 0.163 -0.289
H -7.266 1.991 -3.609 0.392 -0.512 0.809
H -3.960 3.594 -3.289 0.070 0.143 -0.150
H -3.693 1.802 -3.286 0.975 0.190 -0.314
H -4.236 3.308 -0.758 0.396 0.509 0.268
H -2.465 3.321 -1.350 -0.301 0.716 -0.044
H -4.478 1.661 0.783 -0.035 -0.151 0.809
H -2.891 2.414 1.182 0.054 0.026 0.163
H -2.980 0.621 1.013 -0.332 0.120 0.618
C 5.777 1.233 2.715 -1.557 -0.556 -1.302
O 4.966 0.165 2.088 2.002 -0.548 0.085
C 5.761 -0.884 1.487 -1.984 -0.020 -1.053
C 4.870 -1.594 0.442 0.293 -0.783 0.734
O 3.590 -2.016 1.054 1.584 1.987 -0.762
C 3.255 -3.283 0.590 -0.740 -0.970 -0.056
H 6.849 1.043 2.768 -0.219 -0.523 0.327
H 5.255 1.362 3.663 0.648 0.595 0.058
H 5.646 2.040 1.993 0.051 0.562 0.598
H 6.058 -1.641 2.212 0.117 0.246 0.296
H 6.619 -0.509 0.927 0.146 0.256 0.241
H 5.440 -2.473 0.141 -0.084 -0.441 0.296
H 4.704 -1.111 -0.521 -0.233 0.632 0.457
H 3.295 -3.381 -0.495 0.534 0.084 -0.125
H 2.208 -3.504 0.797 0.055 0.093 0.527
H 3.937 -3.946 1.123 -0.240 -0.664 -0.411
C 1.461 -2.335 3.901 0.392 -2.658 0.460
O 2.439 -1.364 3.715 0.444 1.824 0.580
C 2.789 -0.464 4.798 -0.244 -0.422 0.038
C 1.795 0.650 5.087 -0.680 -0.528 1.615
O 1.331 1.357 3.988 -0.052 0.936 -1.285
C 0.520 2.513 4.244 -0.260 -0.024 1.064
H 0.398 -2.143 4.053 0.129 1.008 -0.340
H 1.731 -3.045 4.683 0.219 0.415 0.941
H 1.612 -3.052 3.094 -0.528 0.496 -0.672
H 3.812 -0.111 4.669 -0.142 0.175 -0.948
H 2.913 -1.003 5.738 -0.442 -0.410 0.124
H 2.188 1.252 5.906 0.816 0.725 -0.335
H 0.966 0.244 5.667 -0.694 -0.585 -0.428
H 1.024 3.244 4.876 0.461 -0.011 -0.082
H -0.384 2.271 4.803 -0.107 -0.518 0.087
H 0.154 3.039 3.363 0.606 -0.550 -0.444
C -1.820 0.205 -5.874 0.767 -0.582 -1.215
O -2.474 -0.192 -4.735 -1.267 -0.493 1.568
C -3.510 -1.161 -4.958 0.678 0.621 0.919
C -3.981 -1.569 -3.584 -0.703 -0.459 1.152
O -2.933 -2.223 -2.854 0.824 -0.146 -0.673
C -3.221 -2.571 -1.518 -1.660 0.513 0.179
H -1.817 1.290 -5.981 0.272 -0.033 0.062
H -2.276 -0.241 -6.758 -0.181 0.231 -0.249
H -0.839 -0.267 -5.816 0.527 0.635 -0.353
H -3.135 -2.032 -5.495 0.188 -0.065 -0.052
H -4.269 -0.668 -5.566 -0.450 -0.254 0.153
H -4.882 -2.182 -3.615 0.088 -0.689 -0.468
H -4.371 -0.760 -2.966 0.389 0.848 -0.132
H -4.099 -3.212 -1.432 0.021 -0.563 -0.321
H -3.592 -1.687 -1.001 0.325 0.480 0.415
H -2.411 -3.028 -0.950 0.316 0.174 -0.644

=====

78
Properties=species:S:1:pos:R:3:forces:R:3 method="wB97M-V/def2-TZVPD" de_lowest_kj_mol=0.0 orbital_gap_ev=8.2 total_charge=0 multiplicity=1 lumo_energy_ev=-0.988
K -9.654 -5.854 4.011 0.500 -0.021 -0.498
B -7.254 -4.711 1.658 -0.490 -0.293 0.311
F -6.460 -3.650 2.163 -0.130 -0.280 -0.175
F -8.606 -4.304 1.583 0.159 0.015 0.104
F -6.802 -5.166 0.439 0.118 0.056 0.190
F -7.238 -5.777 2.630 0.092 0.156 -0.062
C -9.379 -1.431 2.324 -0.299 0.213 0.255
C -8.207 -0.565 1.931 0.136 -0.069 -0.332
O -7.299 -1.238 1.056 -0.123 0.150 0.169
H -10.060 -0.844 2.950 0.101 -0.110 0.092
H -9.010 -2.285 2.885 -0.126 -0.110 0.145
H -9.961 -1.790 1.476 0.185 -0.001 -0.158
H -7.688 -0.219 2.834 0.036 -0.026 -0.073